Photo: Cam McLaren/Getty Images
Photo: Cam McLaren/Getty Images

SocietyFebruary 9, 2019

Police uniforms were a deal breaker at Pride. So why weren’t they at Waitangi?

Photo: Cam McLaren/Getty Images
Photo: Cam McLaren/Getty Images

Controversy over police insistence on wearing their uniforms led to their withdrawal from today’s Pride Festival march. So imagine Emilie Rākete’s surprise to see officers deployed in casual clothes just three days ago at Waitangi.

By now most of us have likely heard about the public debate around police involvement in the Auckland Pride festival. The issue has become as unavoidable as a patrol car cruising through a brown neighbourhood, on the lookout for any kids riding their bikes too rambunctiously. I’ll summarise quickly, so we can move on to discussing the latest absolutely bewildering development.

(Inserted here: crystal structures)
Record 1
Simulated PXRD pattern of Si2As4Au for copper Kα, from a cell relaxed with PBE.
Peak positions follow from Bragg's law for the DFT cell and can differ from measured ones.

Unit cell a=5.0808 b=5.0808 c=12.1032 alpha=90.00 beta=90.00 gamma=90.00
Space group I-42m (No. 121)
One atom of each set of equivalent atoms:
Si1 0.0000 0.5000 0.2500 x4
As1 0.1928 0.1928 0.1242 x8
Au1 0.0000 0.0000 0.5000 x2

Largest 12 diffraction maxima, in order of rising 2θ, 2θ = 10–80°:
- 14.64 deg, I 16, hkl 0 0 2
- 18.94 deg, I 27, hkl 1 0 1
- 24.78 deg, I 16, hkl 1 1 0
- 28.25 deg, I 57, hkl 1 0 3
- 28.90 deg, I 100, hkl 1 1 2
- 40.39 deg, I 49, hkl 2 1 1
- 41.31 deg, I 21, hkl 1 0 5
- 45.83 deg, I 16, hkl 2 1 3
- 46.69 deg, I 46, hkl 2 0 4
- 51.99 deg, I 19, hkl 1 1 6
- 54.73 deg, I 18, hkl 3 0 1
- 59.53 deg, I 15, hkl 3 1 2



Record 2
Simulated PXRD pattern of SnAsAu14 for copper Kα, from a cell relaxed with PBE.
Peak positions follow from Bragg's law for the DFT cell and can differ from measured ones.

Unit cell a=9.5365 b=6.0777 c=10.2273 alpha=90.00 beta=90.00 gamma=90.00
Space group Amm2 (No. 38)
One atom of each set of equivalent atoms:
Sn1 0.0000 0.0000 0.0000 x2
As1 0.0000 0.0000 0.5041 x2
Au1 0.0000 0.2494 0.2504 x4
Au2 0.2494 0.0000 0.3305 x4
Au3 0.2518 0.0000 0.8291 x4
Au4 0.2526 0.2485 0.5798 x8
Au5 0.5000 0.0000 0.1587 x2
Au6 0.5000 0.0000 0.6588 x2
Au7 0.5000 0.2486 0.4084 x4

Largest 12 diffraction maxima, in order of rising 2θ, 2θ = 10–80°:
- 35.63 deg, I 32, hkl 1 2 2
- 36.38 deg, I 18, hkl 1 0 4
- 37.73 deg, I 45, hkl 4 0 0
- 39.33 deg, I 100, hkl 2 2 2
- 40.01 deg, I 40, hkl 2 0 4
- 44.91 deg, I 17, hkl 3 2 2
- 60.98 deg, I 11, hkl 0 4 0
- 62.47 deg, I 21, hkl 0 2 6
- 69.19 deg, I 19, hkl 6 2 2
- 73.98 deg, I 13, hkl 4 4 0
- 75.34 deg, I 24, hkl 4 2 6
- 75.46 deg, I 13, hkl 2 4 4



Record 3
Simulated PXRD pattern of Sn2As3Au for copper Kα, from a cell relaxed with PBE.
Peak positions follow from Bragg's law for the DFT cell and can differ from measured ones.

Unit cell a=7.4636 b=13.0310 c=7.4911 alpha=90.00 beta=109.53 gamma=90.00
Space group Cc (No. 9)
One atom of each set of equivalent atoms:
Sn1 0.0000 0.0806 0.0000 x4
Sn2 0.0175 0.2514 0.4999 x4
As1 0.1227 0.4251 0.3744 x4
As2 0.1323 0.2532 0.8849 x4
As3 0.1577 0.0824 0.3837 x4
Au1 0.0282 0.4146 0.0177 x4

Largest 12 diffraction maxima, in order of rising 2θ, 2θ = 10–80°:
- 25.16 deg, I 100, hkl 1 3 -1
- 25.28 deg, I 99, hkl 2 0 0
- 29.20 deg, I 18, hkl 2 0 -2
- 41.58 deg, I 24, hkl 0 6 0
- 41.72 deg, I 48, hkl 1 3 -3
- 41.86 deg, I 69, hkl 3 3 -1
- 49.29 deg, I 33, hkl 2 6 0
- 49.44 deg, I 41, hkl 3 3 -3
- 49.55 deg, I 21, hkl 4 0 -2
- 60.49 deg, I 15, hkl 2 6 2
- 76.01 deg, I 16, hkl 1 9 -3
- 76.26 deg, I 20, hkl 2 0 -6



Record 4
Simulated PXRD pattern of Sn4As3Au for copper Kα, from a cell relaxed with PBE.
Peak positions follow from Bragg's law for the DFT cell and can differ from measured ones.

Unit cell a=4.1570 b=4.1570 c=50.7274 alpha=90.00 beta=90.00 gamma=120.00
(The crystal structures stop here)

The police withdrew their application to participate in Auckland’s Pride Parade this year, after the Auckland Pride organisers asked that the police not march in their uniforms. Auckland Pride made the request after seven community consultation hui last year, in which takatāpui and transgender members of the gay community made it clear that police violence was a pressing issue in their lives. Members of People Against Prisons Aotearoa, the criminal justice community organisation I’m a part of, spoke at one of these meetings. Our position is that the police have no place in a celebration that honours Te Tiriti o Waitangi, given that according to their own statistics, they use violence against Māori at far higher rates than against Pākehā. Furthermore, this rate is getting worse and worse every single year. Police spokesperson Inspector Tracy Phillips made it clear that if they aren’t allowed to wear their uniforms, they aren’t being made sufficiently “welcome” and they won’t participate. Everybody got mad, some people tried to roll the board over it, the community affirmed it and stood  by the board’s decision, and now we’re all getting dolled up for this year’s Pride march.

┌──
This entry pairs a crystal structure of Sr3Sn5Br16 with its computed powder X-ray diffraction pattern. Radiation: Cu Kα (weighted mean of Kα1 and Kα2). Structure: a DFT-relaxed cell (PBE, Alexandria).

Cell: 9.0168 9.0168 13.5948 Å, 90.55 90.55 60.02°
Fractional positions:
Sr (0.0000, 0.0000, 0.0000)
Sr (0.1680, 0.6669, 0.5007)
Sr (0.6669, 0.1680, 0.5007)
Sn (0.0000, 0.5013, 0.0005)
Sn (0.1678, 0.1678, 0.7362)
Sn (0.5013, 0.0000, 0.0005)
Sn (0.5017, 0.5017, 0.2340)
Sn (0.6685, 0.6685, 0.4999)
Br (0.1587, 0.6650, 0.1166)
Br (0.1696, 0.1696, 0.1173)
Br (0.3160, 0.8687, 0.8647)
Br (0.3189, 0.3189, 0.8701)
Br (0.3497, 0.8008, 0.3651)
Br (0.3521, 0.3521, 0.3636)
Br (0.5043, 0.5043, 0.6183)
Br (0.5059, 0.9915, 0.6143)
Br (0.6650, 0.1587, 0.1166)
Br (0.6688, 0.6688, 0.1129)
Br (0.8008, 0.3497, 0.3651)
Br (0.8303, 0.8303, 0.8830)
Br (0.8311, 0.8311, 0.3832)
Br (0.8687, 0.3160, 0.8647)
Br (0.9915, 0.5059, 0.6143)
Br (0.9977, 0.9977, 0.6208)

Most intense lines, 2θ = 10–90°, low angle first:
- 2θ = 13.05°, 6.785 Å, I 89
- 2θ = 26.24°, 3.396 Å, I 77
- 2θ = 26.41°, 3.375 Å, I 70
- 2θ = 30.10°, 2.969 Å, I 54
- 2θ = 30.30°, 2.950 Å, I 34
- 2θ = 30.39°, 2.942 Å, I 18
- 2θ = 39.99°, 2.254 Å, I 100
- 2θ = 40.32°, 2.237 Å, I 22
- 2θ = 40.53°, 2.226 Å, I 22
- 2θ = 72.64°, 1.302 Å, I 19
└──
**Back to the text:**

Then, in a move that at first completely blew me away, it came out that the police weren’t even wearing their traditional uniforms at Waitangi this year. They’d switched them out for a “casual”, “approachable” look. After the enormous public screaming fight that the police chose to kick off rather than make a small, symbolic concession that takatāpui are right to be concerned about police violence, this seems confusing. The community, I think understandably, is pretty confused.

However, once I finished picking bits of my brain out of the drywall, it actually makes total sense. Further, this actually isn’t even the first time that the police’s insistence on being allowed to wear its uniform to Pride has been shown to be, well, a little inconsistent. Last November, a slightly dodgy-seeming awards show handed out trophies on behalf of New Zealand’s LGBTI community. Despite having cancelled LGBTI diversity training for frontline staff more than two years ago and, it seems, not replacing it with anything beyond a vague mandate to be nice, the police were awarded Organisation of the Year. Sure enough, police dignitaries including Inspector Tracy Phillips were there in person to accept their award – not in their apparently mandatory uniforms, but in civilian formalwear.

New Zealand Police pose with their award for best Organisation at the New Zealand LGBTI Awards 2018 at the Cordis Hotel on November 29, 2018 in Auckland, New Zealand. (Photo by Hannah Peters/Getty Images)

So what’s going on? In one case, the police have argued that they absolutely must be allowed to wear their uniforms to community events. Asking them to do otherwise, even when that request is itself a compromise with a disproportionately brutalised community who don’t want them to show up at all, is apparently a completely unacceptable attack on the honour of the institution. In another case, though, the police showed up for a swanky $200-a-head prize gala to receive an award, and none of them looked especially teary at the prospect of doing so in a ball gown or tux. Likewise, at Waitangi the police were happy enough to mingle wearing, if you’ll allow me a moment of lesbian cattiness, polos and dad shorts. So why was it only Auckland Pride’s request that led to such a public and open dispute?

The police’s own statements to media give us a good first step towards explaining this contradiction. Speaking to gay media outlet Express, Inspector Tracy Phillips says that “if our people are not allowed to proudly march as police officers, we won’t come.” And that, really, is it. The police couldn’t march proudly, in their uniforms, because the Auckland Pride community has made it clear what that uniform represents to us. It represents a cowering 12 year-old being mauled by a trained attack dog. It represents teenagers burning to death inside wrecked cars following preventable Police pursuits. It represents the constant racist overpolicing of Māori communities. In short, the police pulled out of the Parade because Auckland Pride had the audacity to point out they have very little to be proud of.

On the other hand, neither the LGBTI Awards nor the proceedings at Waitangi made what it is that the police do the subject of political attention. In an era in which disproportionate police violence against Māori is reaching a new height, its public relations strategy has hinged on the language of diversity and inclusion. There are brown faces in the police force, there are rainbow badges pinned to all of the appropriate lapels. So long as the police are allowed to represent themselves as an innocuous part of our communities, so long as they are heaped with praise and awards and allowed to put their branding front and centre of our events, the police have shown themselves more than happy to wear whatever clothing is appropriate for the occasion.

When the police first started marching uniformed in the Auckland Pride Parade, Māori were 7.1 times more likely than Pākehā to be subjected to police violence. Māori are now almost 8 times more likely than Pākehā to be beaten, tasered, pepper-sprayed, mauled by an attack dog, or shot by a police officer. If Pride is something the police want to put their branding on, if Pride is something the police want a place in, the worsening trend of racist violence needs to end. The police will need to work for it. If the police’s behaviour over the past months is any indicator, they have no willingness whatsoever to do this work.

The police-led boycott of Auckland Pride has in my view never been about their uniforms. It has been about dominating a public conversation about racist police violence. It has been about punishing, in the most public and contemptuous manner possible, the Auckland Pride community for daring to raise the issue of racist police violence. This only makes it more important, more necessary, that we remain absolutely unrelenting in the pursuit of our mutual liberation – something which flows not from the heel of a police officer’s boot, but from the collective power of masses.